-- What to do --
Next, count the lines further below that contain the word "merged" and give the number alone.

-- Entries --
[1]
Theoretical powder diffractogram of Sm8Te4P3C for Cu Kα, 1.54184 Å, from a DFT-relaxed cell (PBE, Alexandria).
Lines closer than 0.1° are merged.

Structural model:
Cell: 8.638 8.638 8.638 Å, 57.48 57.48 57.48°
Fractional positions:
Sm: 0.238 0.238 0.238
Sm: 0.254 0.725 0.725
Sm: 0.275 0.275 0.746
Sm: 0.275 0.746 0.275
Sm: 0.725 0.255 0.725
Sm: 0.725 0.725 0.254
Sm: 0.746 0.275 0.275
Sm: 0.762 0.762 0.762
Te: 0.000 0.000 0.000
Te: 0.000 0.500 0.500
Te: 0.500 0.000 0.500
Te: 0.500 0.500 0.000
P: 0.000 0.000 0.500
P: 0.000 0.500 0.000
P: 0.500 0.000 0.000
C: 0.500 0.500 0.500

Main lines, by angle (2θ from 10° to 90°):
| d [Å] | Position (°2θ) | intensity |
| --- | --- | --- |
| 2.992 | 29.9 | 100.0 |
| 2.762 | 32.4 | 22.9 |
| 2.156 | 41.9 | 29.8 |
| 2.077 | 43.6 | 37.4 |
| 1.706 | 53.7 | 18.1 |
| 1.569 | 58.9 | 15.4 |


[2]
Theoretical powder diffractogram of TcPC3 for Cu Kα, 1.54184 Å, from a DFT-relaxed cell (PBE, Alexandria).
Lines closer than 0.1° are merged.

Structural model:
Cell: 3.610 3.610 3.610 Å, 90.00 90.00 90.00°
Fractional positions:
Tc: 0.000 0.000 0.000
P: 0.500 0.500 0.500
C: 0.000 0.500 0.500
C: 0.500 0.000 0.500
C: 0.500 0.500 0.000

Main lines, by angle (2θ from 10° to 90°):
| d [Å] | Position (°2θ) | intensity |
| --- | --- | --- |
| 3.610 | 24.7 | 28.2 |
| 2.553 | 35.2 | 100.0 |
| 2.084 | 43.4 | 24.9 |
| 1.805 | 50.6 | 29.4 |
| 1.474 | 63.1 | 35.9 |
| 1.276 | 74.3 | 17.4 |


[3]
Theoretical powder diffractogram of U2TcPC for Cu Kα, 1.54184 Å, from a DFT-relaxed cell (PBE, Alexandria).
Lines closer than 0.1° are merged.

Structural model:
Cell: 6.288 3.460 8.157 Å, 90.00 101.63 90.00°
Fractional positions:
U: 0.211 0.250 0.427
U: 0.212 0.250 0.869
U: 0.788 0.750 0.131
U: 0.789 0.750 0.573
Tc: 0.490 0.750 0.723
Tc: 0.510 0.250 0.277
P: 0.251 0.750 0.143
P: 0.749 0.250 0.857
C: 0.154 0.750 0.627
C: 0.846 0.250 0.373

Main lines, by angle (2θ from 10° to 90°):
| d [Å] | Position (°2θ) | intensity |
| --- | --- | --- |
| 3.080 | 29.0 | 75.7 |
| 3.080 | 29.0 | 37.6 |
| 3.017 | 29.6 | 97.7 |
| 2.718 | 33.0 | 34.1 |
| 2.615 | 34.3 | 100.0 |
| 1.730 | 52.9 | 43.7 |


[4]
Theoretical powder diffractogram of Th6TeP2C3 for Cu Kα, 1.54184 Å, from a DFT-relaxed cell (PBE, Alexandria).

-- Written answer --
3